法国萨克雷大学Vincent JI(嵇宁)教授和Nita DRAGOE教授学术报告通知

2024-04-13 16:58

应材料学院隋解和教授和刘紫航教授邀请,法国萨克雷大学系主任Vincent JI(嵇宁)教授将做工程机械零部件残余应力分析的学术报告,Nita DRAGOE教授将做高熵氧化物的学术报告。欢迎感兴趣的老师和学生参加。

报告题目:Residual Stress Analysis on Engineering Mechanical Components

报告人:Vincent JI(嵇宁)教授



摘要:Residual stress can be generated dues to component’s fabrication, forming, machining and during their utilisation. They can influence material utilisation properties and their durability. It is extremely important to quantify the level and the distribution of residual stress on mechanical components. The origins of residual stress generation (mechanical deformation, thermal gradient, microstructure change) will be presented as a function of different forming and assembly process of engineering components. The influence of residual stress on different component’s used properties will be discussed. Different experimental methods, such as hole drilling, layer remove, section method, contour method, diffraction method (XRD, synchrotron, Neutron), ultrasonic and magnetic method, for residual stress determination will be introduced. The advantages and disadvantages of each method will be discussed. The mechanism of residual stresses control, relaxation and modification will be introduced and discussed.

报告人简介:Vincent Ji(嵇宁),1984年毕业于北京航空航天大学,获材料科学与工程专业学士学位;1986年毕业于巴黎萨克雷大学,获冶金与材料专业硕士学位;1989年毕业于法国国立高等工程技术学院,获机械与材料专业博士学位。1989年至2007年,先后在法国国立高等工程技术学院担任助理教授、副教授和博士生导师。自2007年起,担任巴黎萨克雷大学教授,巴黎萨克雷大学工程学院材料系主任。2016年起担任特聘教授,2018年起担任材料、力学和能源系主任。嵇宁教授主要从事合金表面强化、表面改性、表面涂层和表面残余应力分析的基本原理及工程应用研究。研究成果发表SCI论文360余篇(H因子43,被引6600余次);指导博士生24名,硕士生30名;此外,联合指导博士生20名。

报告题目:High Entropy and Entropy-stabilized Oxides: Recent Developments and Physical Properties

报告人:Nita Dragoe教授



摘要:The role of configurational entropy in the synthesis of new alloys was known since 2004 and this role was found applicable to oxides in 2015. Since then, Entropy Stabilized Oxides and High Entropy Oxides (HEOx) became a hot topic in the field of functional materials. This field was extended to other ceramics, and it is expected to grow in the following years. Many compositions have already been obtained with various crystal structures, with both entropy-stabilized and thermodynamically stable compounds. Some of them exhibit promising functional properties, among other: ionic conductivity, photocatalytic properties, unexpected magnetic ordering, thermoelectric properties (...). Although no clear link has been made to date between these properties and the possible role of entropy-stabilization (or even high-entropy nature), cocktail effects have been reported in some cases with functional properties of the multicomponent compounds significantly different from that of their single-cation counterparts. In this talk, I will give an overview of the various systems studied in our group and discuss the perspective they open for applications.

- - -
Record 1
First-principles (GGA-PBE) data for crystalline CsBiH at its relaxed geometry, as listed in Alexandria.

Cell and atoms, written as POSCAR:
```
CsBiH
1.0
6.159 0.000 0.000
-3.079 6.717 0.304
0.000 -3.682 5.867
H Cs Bi
2 2 2
Direct
0.632 0.264 0.102
0.991 0.981 0.496
0.983 0.966 0.014
0.344 0.688 0.361
0.657 0.313 0.850
0.150 0.300 0.684
```

Computed properties:
As for the space-group type: Cm, No. 8. The calculation puts the density of states at the Fermi level at 0.096 states/eV per atom. The offset from the most stable computed form is 0.00 eV/f.u.

---

Record 2
First-principles (GGA-PBE) data for crystalline CsBi2H2 at its relaxed geometry, as listed in Alexandria.

Cell and atoms, written as POSCAR:
```
CsBi2H2
1.0
6.848 0.049 0.006
-3.460 3.428 1.015
0.042 1.561 7.290
Cs H Bi
1 2 2
Direct
0.000 0.000 0.000
0.379 0.251 0.241
0.621 0.749 0.759
0.761 0.023 0.479
0.239 0.977 0.521
```

Computed properties:
As for the space-group type: P-1, No. 2. The calculation puts the density of states at the Fermi level at 0.245 states/eV per atom.

---

So what do the calculations give for E_tot? Going down the list: -2.807 -3.017 eV/atom.

~~~~~

Record 1
Density functional theory data (PBE) for TmU3N4 after structural relaxation.

Cell lengths 4.8273, 4.8273, 5.9321 Å; angles 114.01, 114.01, 90.00 degrees
Last column: magnetic moment on the atom in μB.
Atoms (fractional coordinates):
N 0.2488 0.2488 0.4976  -0.05
N 0.0000 0.5000 0.0000  -0.04
N 0.7512 0.7512 0.5024  -0.05
N 0.5000 0.0000 0.0000  -0.04
U 0.5000 0.5000 0.0000  0.87
U 0.2500 0.7500 0.5000  0.86
U 0.7500 0.2500 0.5000  0.86
Tm 0.0000 0.0000 0.0000  0.00

Properties
magnetization: 2.60 Bohr magnetons per cell
formation energy (no corrections): -1.419 eV/atom



Record 2
Density functional theory data (PBE) for Tm2UN4 after structural relaxation.

Cell lengths 3.5027, 5.7290, 9.6452 Å; angles 90.00, 90.00, 90.00 degrees
Atoms (fractional coordinates):
Tm 0.5000 0.5627 0.3227
Tm 0.5000 0.9373 0.8227
Tm 0.5000 0.4373 0.6773
Tm 0.5000 0.0627 0.1773
N 0.0000 0.3508 0.1979
N 0.5000 0.2651 0.9580
N 0.5000 0.2349 0.4580
N 0.0000 0.6492 0.8021
N 0.5000 0.7349 0.0420
N 0.5000 0.7651 0.5420
N 0.0000 0.8508 0.3021
N 0.0000 0.1492 0.6979
U 0.0000 0.5000 0.0000
U 0.0000 0.0000 0.5000

Properties
magnetization: 0.00 Bohr magnetons per cell
formation energy (no corrections): -1.639 eV/atom



Record 3
Density functional theory data (PBE) for TmUN2 after structural relaxation.

Cell lengths 3.3366, 3.3366, 6.2496 Å; angles 74.52, 74.52, 60.00 degrees
Last column: magnetic moment on the atom in μB.
Atoms (fractional coordinates):
U 0.4982 0.4982 0.5055  1.72
N 0.2502 0.2502 0.2495  -0.05
N 0.0802 0.0802 0.7595  -0.05
Tm 0.6715 0.6715 0.9854  0.08

Properties
magnetization: 1.85 Bohr magnetons per cell
formation energy (no corrections): -1.292 eV/atom



Record 4
Density functional theory data (PBE) for TmU4N5 after structural relaxation.
- - -
The article goes on:

报告人简介:Nita DRAGOE于1996年在University of Paris Sud获得博士学位,先后任教于University of Bucharest、University of Tokyo、Université Paris XI、University of Paris Sud,现为University of Paris Sud正教授。他目前主要研究领域包括高熵氧化物的合成与输运性质、高温合成超导陶瓷,前体分解,单晶合成(共溶剂生长)、配位化合物的合成、有机化合物的合成化学(富勒烯材料研究)。